Walt Alexander’s series of devotional essays
The Reds, The Blues, The Purple
I am trying weave together some peculiar themes, so please stick with me and I will try to communicate this as clearly as I can. One of my guilty pleasures from the 2000s was watching the mini-series on HBO, Rome. So I have been re-watching the series on ROKU recently.
The Three Little Pigs
I have been thinking a lot lately about an idea I had a couple years ago which I shared with my young nieces. I told them that Jesus told a similar story to the story of the Three Little Pigs (do I have to remind you of it??) and that
John Tyler’s Inaugural Address
The following speech was given by John Tyler, the 10th President of the United States on April 9th, 1841. To the People of the United States FELLOW-CITIZENS: Before my arrival at the seat of Government the painful communication was made to you by the officers presiding over the several Departments
I restarted updating the site only once a week during the pandemic. I did not have the Bloomberg feed I used to have or 4 fashion shoots a year. But, the website was still moving along. I even had several devotionals go viral. I was gearing up to bring
#one
## MgAg2Br2O4 (PBE)

Data for MgAg2Br2O4 after structural relaxation.

Results
Symmetry: No. 1

a b c (Å): 3.690 4.031 12.420
angles (deg): 80.70 89.94 89.74
Fractional coordinates of all 9 atoms:
Mg1 0.000 0.000 0.000
Ag1 0.250 0.474 0.551
Ag2 0.750 0.974 0.551
Br1 0.501 0.810 0.376
Br2 0.999 0.137 0.727
O1 0.000 0.592 0.136
O2 0.500 0.341 0.970
O3 0.500 0.689 0.970
O4 0.999 0.273 0.136



#two
## MgAg2Br2O4 (PBE)

Data for MgAg2Br2O4 after structural relaxation.

Results
Symmetry: No. 1

a b c (Å): 3.696 5.037 12.150
angles (deg): 78.95 85.79 87.73
Fractional coordinates of all 9 atoms:
Mg1 0.000 0.000 0.000
Ag1 0.219 0.529 0.435
Ag2 0.727 0.035 0.435
Br1 0.472 0.692 0.598
Br2 0.982 0.371 0.268
O1 0.485 0.128 0.038
O2 0.500 0.837 0.036
O3 0.938 0.210 0.834
O4 0.951 0.950 0.833



#three
## MgAg2Br2O4 (PBE)

Data for MgAg2Br2O4 after structural relaxation.

Results
Symmetry: No. 6

a b c (Å): 4.363 3.782 10.518
angles (deg): 90.00 99.45 90.00
Fractional coordinates of all 9 atoms:
Mg1 0.000 0.000 0.000
Ag1 0.310 0.500 0.288
Ag2 0.952 0.000 0.548
Br1 0.453 0.500 0.554
Br2 0.799 0.000 0.262
O1 0.049 0.000 0.796
O2 0.176 0.500 0.053
O3 0.332 0.000 0.860
O4 0.845 0.500 0.990



Tell me which of them is the most stable. Sure, it is #one.



#one
## KAgCO3 (PBE)

Data for KAgCO3 after structural relaxation.

Results
Symmetry: No. 1

a b c (Å): 5.913 5.983 11.020
angles (deg): 105.67 104.42 90.14
Fractional coordinates of all 24 atoms:
K1 0.000 0.000 0.000
K2 0.141 0.637 0.281
K3 0.498 0.496 0.998
K4 0.639 0.140 0.283
Ag1 0.220 0.062 0.641
Ag2 0.423 0.579 0.637
Ag3 0.721 0.058 0.643
Ag4 0.921 0.555 0.638
C1 0.192 0.192 0.392
C2 0.447 0.943 0.889
C3 0.693 0.693 0.391
C4 0.947 0.443 0.890
O1 0.007 0.505 0.015
O2 0.023 0.252 0.826
O3 0.114 0.382 0.455
O4 0.132 0.129 0.266
O5 0.311 0.753 0.825
O6 0.332 0.068 0.455
O7 0.503 0.004 0.015
O8 0.525 0.074 0.828
O9 0.612 0.565 0.453
O10 0.635 0.631 0.266
O11 0.811 0.571 0.827
O12 0.831 0.881 0.455



#two
## KAgCO3 (PBE)

Data for KAgCO3 after structural relaxation.

Results
Symmetry: No. 73

a b c (Å): 11.056 11.056 11.056
angles (deg): 149.26 148.84 44.34
Fractional coordinates of all 24 atoms:
K1 0.070 0.320 0.750
K2 0.430 0.180 0.250
K3 0.570 0.820 0.750
K4 0.930 0.680 0.250
Ag1 0.133 0.250 0.383
Ag2 0.367 0.750 0.117
Ag3 0.633 0.250 0.883
Ag4 0.867 0.750 0.617
C1 0.127 0.877 0.250
C2 0.373 0.623 0.750
C3 0.627 0.377 0.250
C4 0.873 0.123 0.750
O1 0.036 0.758 0.977
O2 0.064 0.814 0.250
O3 0.219 0.742 0.778
O4 0.281 0.059 0.523
O5 0.436 0.686 0.750
O6 0.464 0.441 0.722
O7 0.536 0.559 0.278
O8 0.564 0.314 0.250
O9 0.719 0.941 0.477
O10 0.781 0.258 0.222
O11 0.936 0.186 0.750
O12 0.964 0.242 0.023



Tell me which of them is the most stable. Sure, it is #one.



#one
## Ag2CO3 (PBE)

Data for Ag2CO3 after structural relaxation.

Results
Symmetry: No. 11

a b c (Å): 3.357 9.782 5.032
angles (deg): 90.00 97.19 90.00
Fractional coordinates of all 12 atoms:
Ag1 0.239 0.070 0.202
Ag2 0.239 0.430 0.202
**So much for the calculated crystals**
The Colors of Christmas
Red —For the blood that came as body parts expanded and tore and pushed a living being out. Red for the blood that needed to fuel muscles used for walking and talking and teaching and putting up with ignorant human beings. Red for the blood shed through beatings and whippings
Forgiveness Is True Freedom
Forgiveness and reconciliation will give you a sense of true freedom. With that freedom, you can leave your past behind and move into all God has planned for your life.
Defects, Rejects, Accepts
The Bible says a lot about “defects”. According to one source, just the word “defect” is mentioned 18 times (Defects in the Bible (18 instances). I suspect that these mentions of the word “defect” do not include mentions of blindness, deafness, and other infirmaries which are considered defects in the
Living As A Christian Is Not An Easy Thing
By Anthony Eshun October 10, 2018 I dedicate this piece of write up to all Christians around the world. We are in the end time and so we have to keep on reminding ourselves of the imminent coming of our Lord Christ Jesus. This post will solely address the stressful life
The Way Has Been Cleared
By Anthony Vaughan May 01, 2013 Our Lord and Savior, Jesus Christ, could be considered the landscaper for the path of righteousness. It was through his atonement and the sacrifice of our Heavenly Father’s only son that we have been gifted with a clear piece of property, our souls. How wonderful
Everyday Joy
by Nanette Victoria 12/05/2018 Every day joy is possible when we stop clinging to every day misery. It is our part to choose the joy of God and not the misery of man. Problems will come and go and they are never permanent. The joy and peace of God is